Data:
********
(1)
Calculated PXRD pattern
Compound: CrTeHRhAu2
Radiation: Cu Kα (λ = 1.5418 Å)
Structure: a crystal structure in Alexandria, relaxed with PBE
No peak broadening, texture or thermal motion is included.

Structure:
```
CrTeHRhAu2
1.0
10.776 0.000 0.000
0.000 3.095 0.000
-0.706 0.000 5.940
Cr Te H Rh Au
2 2 2 2 4
Direct
0.000 0.000 0.000
0.500 0.500 0.000
0.320 0.000 0.751
0.820 0.500 0.751
0.089 0.500 0.748
0.589 0.000 0.748
0.085 0.000 0.607
0.585 0.500 0.607
0.176 0.500 0.245
0.405 0.000 0.326
0.676 0.000 0.245
0.905 0.500 0.326
```

Peak list (10 most intense, 2θ = 10–80°, in order of falling intensity)
d (Å)	two_theta	Rel. int.
2.338	38.5	100
2.624	34.2	55
5.940	14.9	44
2.971	30.1	41
2.738	32.7	37
2.068	43.8	27
2.235	40.4	24
2.137	42.3	17
2.555	35.1	16
2.117	42.7	15



(2)
Calculated PXRD pattern
Compound: La6NdIr4
Radiation: Cu Kα (λ = 1.5418 Å)
Structure: a crystal structure in Alexandria, relaxed with PBE
No peak broadening, texture or thermal motion is included.

Structure:
```
La6NdIr4
1.0
6.183 0.000 0.000
0.003 6.205 0.000
2.202 3.099 8.093
La Nd Ir
6 1 4
Direct
0.000 0.000 0.000
0.036 0.379 0.340
0.073 0.660 0.679
0.469 0.496 0.962
0.536 0.057 0.340
0.604 0.119 0.717
0.536 0.552 0.340
0.159 0.184 0.630
0.470 0.945 0.064
0.604 0.671 0.614
0.914 0.475 0.050
```

Peak list (10 most intense, 2θ = 10–80°, in order of falling intensity)
d (Å)	two_theta	Rel. int.
2.183	41.4	100
3.102	28.8	89
2.698	33.2	83
2.983	30.0	79
2.462	36.5	72
2.897	30.9	56
3.974	22.4	54
2.328	38.7	52
2.219	40.7	46
2.588	34.7	44



(3)
Calculated PXRD pattern
Compound: Sr6S5
Radiation: Cu Kα (λ = 1.5418 Å)
Structure: a crystal structure in Alexandria, relaxed with PBE
No peak broadening, texture or thermal motion is included.

Structure:
```
Sr6S5
1.0
3.715 -6.432 0.000
3.715 6.432 0.000
-2.481 0.000 7.006
Sr S
6 5
Direct
0.083 0.417 0.750
0.250 0.250 0.249
0.417 0.083 0.750
0.583 0.917 0.250
0.750 0.750 0.751
0.917 0.583 0.250
0.167 0.833 0.000
0.334 0.666 0.500
0.500 0.500 0.000
0.666 0.334 0.500
0.833 0.167 0.000
```

Peak list (10 most intense, 2θ = 10–80°, in order of falling intensity)
d (Å)	two_theta	Rel. int.
3.033	29.4	100
2.145	42.1	72
3.502	25.4	50
1.356	69.3	32
1.829	49.9	26
1.751	52.2	25
1.238	77.0	24
1.516	61.1	12
1.392	67.3	11
6.151	14.4	1



(4)
Calculated PXRD pattern
Compound: Y4Sb5O
Radiation: Cu Kα (λ = 1.5418 Å)
Structure: a crystal structure in Alexandria, relaxed with PBE
No peak broadening, texture or thermal motion is included.

Structure:
```
Y4Sb5O
1.0
9.026 -1.756 0.000
9.026 1.756 0.000
-0.275 0.000 8.684
Y Sb O
4 5 1
Direct
0.017 0.017 0.315
********
Work order:
Repeat the lines above up to the one that holds "9.026 1.756", that line included.
Outcome:
(1)
Calculated PXRD pattern
Compound: CrTeHRhAu2
Radiation: Cu Kα (λ = 1.5418 Å)
Structure: a crystal structure in Alexandria, relaxed with PBE
No peak broadening, texture or thermal motion is included.

Structure:
```
CrTeHRhAu2
1.0
10.776 0.000 0.000
0.000 3.095 0.000
-0.706 0.000 5.940
Cr Te H Rh Au
2 2 2 2 4
Direct
0.000 0.000 0.000
0.500 0.500 0.000
0.320 0.000 0.751
0.820 0.500 0.751
0.089 0.500 0.748
0.589 0.000 0.748
0.085 0.000 0.607
0.585 0.500 0.607
0.176 0.500 0.245
0.405 0.000 0.326
0.676 0.000 0.245
0.905 0.500 0.326
```

Peak list (10 most intense, 2θ = 10–80°, in order of falling intensity)
d (Å)	two_theta	Rel. int.
2.338	38.5	100
2.624	34.2	55
5.940	14.9	44
2.971	30.1	41
2.738	32.7	37
2.068	43.8	27
2.235	40.4	24
2.137	42.3	17
2.555	35.1	16
2.117	42.7	15



(2)
Calculated PXRD pattern
Compound: La6NdIr4
Radiation: Cu Kα (λ = 1.5418 Å)
Structure: a crystal structure in Alexandria, relaxed with PBE
No peak broadening, texture or thermal motion is included.

Structure:
```
La6NdIr4
1.0
6.183 0.000 0.000
0.003 6.205 0.000
2.202 3.099 8.093
La Nd Ir
6 1 4
Direct
0.000 0.000 0.000
0.036 0.379 0.340
0.073 0.660 0.679
0.469 0.496 0.962
0.536 0.057 0.340
0.604 0.119 0.717
0.536 0.552 0.340
0.159 0.184 0.630
0.470 0.945 0.064
0.604 0.671 0.614
0.914 0.475 0.050
```

Peak list (10 most intense, 2θ = 10–80°, in order of falling intensity)
d (Å)	two_theta	Rel. int.
2.183	41.4	100
3.102	28.8	89
2.698	33.2	83
2.983	30.0	79
2.462	36.5	72
2.897	30.9	56
3.974	22.4	54
2.328	38.7	52
2.219	40.7	46
2.588	34.7	44



(3)
Calculated PXRD pattern
Compound: Sr6S5
Radiation: Cu Kα (λ = 1.5418 Å)
Structure: a crystal structure in Alexandria, relaxed with PBE
No peak broadening, texture or thermal motion is included.

Structure:
```
Sr6S5
1.0
3.715 -6.432 0.000
3.715 6.432 0.000
-2.481 0.000 7.006
Sr S
6 5
Direct
0.083 0.417 0.750
0.250 0.250 0.249
0.417 0.083 0.750
0.583 0.917 0.250
0.750 0.750 0.751
0.917 0.583 0.250
0.167 0.833 0.000
0.334 0.666 0.500
0.500 0.500 0.000
0.666 0.334 0.500
0.833 0.167 0.000
```

Peak list (10 most intense, 2θ = 10–80°, in order of falling intensity)
d (Å)	two_theta	Rel. int.
3.033	29.4	100
2.145	42.1	72
3.502	25.4	50
1.356	69.3	32
1.829	49.9	26
1.751	52.2	25
1.238	77.0	24
1.516	61.1	12
1.392	67.3	11
6.151	14.4	1



(4)
Calculated PXRD pattern
Compound: Y4Sb5O
Radiation: Cu Kα (λ = 1.5418 Å)
Structure: a crystal structure in Alexandria, relaxed with PBE
No peak broadening, texture or thermal motion is included.

Structure:
```
Y4Sb5O
1.0
9.026 -1.756 0.000
9.026 1.756 0.000